ZEBRIS Geo-IT GmbH is a renowned service and consulting company with a focus on supporting sustainable management of natural resources through geoinformation. We offer solutions and services using the methods of geoinformatics and remote sensing as well as scientific consulting services for forestry, water management, environmental monitoring, soil protection, agriculture and fire management.
Our team members have sound experience in the implementation of projects in various application fields and in the development and application of geospatial technologies for public authorities, companies and in research-related projects.
The combination of professional competence in the application area with expert knowledge in GIS is the recipe for solving even the most challenging problems.
Our technical focus lies in the following application areas:
- Drinking water protection
- River basin management
- Landscape conservation
Attached: crystal structures.
'''
This entry pairs a crystal structure of La3Sm2Y6Ho with its simulated X-ray diffraction stick pattern. Radiation: Cu Ka. Structure: a structure optimized by DFT (PBE).

Cell and atoms:
```
La3Sm2Y6Ho
1.0
3.1410 -5.4408 0.0000
3.1410 5.4408 0.0000
-2.0906 0.0000 11.7295
La Sm Y Ho
3 2 6 1
Direct
0.0000 0.0000 0.0000
0.3331 0.6669 0.0000
0.6669 0.3331 0.0000
0.1665 0.8335 0.5000
0.8335 0.1665 0.5000
0.0853 0.4183 0.2539
0.2489 0.2489 0.7463
0.4183 0.0853 0.2539
0.5817 0.9147 0.7461
0.7511 0.7511 0.2537
0.9147 0.5817 0.7461
0.5000 0.5000 0.5000
```

The 6 most intense peaks (10° ≤ 2θ ≤ 80°), low angle first:
d (Å), Position (°2θ), I_rel
2.958, 30.2, 100
2.932, 30.5, 32
2.556, 35.1, 67
1.814, 50.3, 24
1.802, 50.7, 23
1.542, 60.0, 28

***

This entry pairs a crystal structure of Mo3Au5 with its simulated X-ray diffraction stick pattern. Radiation: Cu Ka. Structure: a structure optimized by DFT (PBE).

Cell and atoms:
```
Mo3Au5
1.0
4.9479 0.0000 0.0000
1.3323 7.0340 0.0000
1.0474 0.0870 8.2253
Mo Au
6 10
Direct
0.0985 0.1351 0.0123
0.3066 0.9396 0.4613
0.3969 0.4949 0.3895
0.6031 0.5051 0.6105
0.6934 0.0604 0.5387
0.9015 0.8649 0.9877
0.0026 0.7166 0.6621
0.1366 0.2754 0.6696
0.2543 0.5218 0.9229
0.3639 0.8025 0.1538
0.4393 0.8568 0.7924
0.5607 0.1432 0.2076
0.6361 0.1975 0.8462
0.7457 0.4782 0.0771
0.8634 0.7246 0.3304
0.9974 0.2834 0.3379
```

The 6 most intense peaks (10° ≤ 2θ ≤ 80°), low angle first:
d (Å), Position (°2θ), I_rel
2.625, 34.2, 52
2.520, 35.6, 50
2.456, 36.6, 83
2.270, 39.7, 85
2.161, 41.8, 100
1.283, 73.9, 50

***

This entry pairs a crystal structure of SmYB12 with its simulated X-ray diffraction stick pattern. Radiation: Cu Ka. Structure: a structure optimized by DFT (PBE).

Cell and atoms:
```
SmYB12
1.0
4.1102 0.0000 0.0000
0.0000 4.1102 0.0000
0.0000 0.0000 8.2228
Sm Y B
1 1 12
Direct
0.0000 0.0000 0.0000
0.0000 0.0000 0.5000
0.1992 0.5000 0.2508
0.1992 0.5000 0.7492
0.5000 0.1992 0.2508
0.5000 0.1992 0.7492
0.5000 0.5000 0.0998
0.5000 0.5000 0.4008
0.5000 0.5000 0.5992
0.5000 0.5000 0.9002
0.5000 0.8008 0.2508
0.5000 0.8008 0.7492
0.8008 0.5000 0.2508
0.8008 0.5000 0.7492
```

The 6 most intense peaks (10° ≤ 2θ ≤ 80°), low angle first:
d (Å), Position (°2θ), I_rel
4.111, 21.6, 58
2.907, 30.8, 100
2.373, 37.9, 43
1.838, 49.6, 48
1.678, 54.7, 25
1.370, 68.5, 28

***

This entry pairs a crystal structure of Ho4SiSe3 with its simulated X-ray diffraction stick pattern. Radiation: Cu Ka. Structure: a structure optimized by DFT (PBE).

Cell and atoms:
```
Ho4SiSe3
1.0
7.0851 0.0000 0.0000
0.0000 8.1903 0.0000
-2.3508 0.0000 6.6414
Ho Si Se
8 2 6
Direct
0.2367 0.1171 0.0012
0.2367 0.8829 0.5012
0.2406 0.3616 0.4882
0.2406 0.6384 0.9882
0.7594 0.3616 0.0118
0.7594 0.6384 0.5118
0.7633 0.1171 0.4988
0.7633 0.8829 0.9988
0.0000 0.1240 0.2500
0.0000 0.8760 0.7500
0.0000 0.3781 0.7500
0.0000 0.6219 0.2500
0.5000 0.1276 0.7500
0.5000 0.3800 0.2500
0.5000 0.6200 0.7500
0.5000 0.8724 0.2500
```
'''
Here the entry continues.
- Forestry, in particular forest information systems
- Monitoring of forest and vegetation fires
- Soil science
- International cooperation
- Geodata management in public administration
Gernot Rücker

Gernot Rücker is co-founder and managing director of ZEBRIS. In one of ZEBRIS’ first projects he was involved in mapping the catastrophic damage caused by fires in Indonesia. This work was later published in the prestigious scientific journal “Nature” and thus helped to raise awareness of the global significance of fires. The work on observing fires with the help of satellites eventually led to the development of the award-winning platform firemaps.net. Gernot Rücker has also worked in various projects on forests, soil protection and forest information systems in national and international projects. At ZEBRIS he is responsible for the areas of consulting on resource management, geoinformatics and Earth observation.
Jürgen Brendel

Crystal structures that have nothing to do with the page:
=====
This entry pairs a crystal structure of RbSc2Au2 with its computed X-ray powder pattern. Radiation: λ = 1.5418 Å (Cu Kα). Structure: DFT lattice parameters and positions (PBE).
No peak broadening, texture or thermal motion is included.

Structural model:
```
10
Lattice="8.643 0.000 0.000 0.000 8.643 0.000 0.000 0.000 3.311" Properties=species:S:1:pos:R:3 pbc="T T T"
Rb 0.000 0.000 0.000
Rb 4.322 4.322 0.000
Sc 1.173 3.148 1.656
Sc 3.148 7.470 1.656
Sc 5.495 1.173 1.656
Sc 7.470 5.495 1.656
Au 1.245 5.566 0.000
Au 3.077 1.245 0.000
Au 5.566 7.399 0.000
Au 7.399 3.077 0.000
```

Top 10 peaks for 2θ = 10–90°, in order of falling intensity:
two_theta, d/Å, I_rel
35.7, 2.515, 100
=====
So much for the crystal structures:
Jürgen Brendel already devoted himself to the topic of drinking water protection as part of his final thesis in geography at the University of Munich. In the more than 20 years since then, drinking water protection, work with geoinformation systems and environmental protection have been the core of his activities. After two years working for a GIS company in Dresden and two years as a research assistant at the TU Dresden he co-founded ZEBRIS. Here he dedicated himself to the development of an information system which is today, under the name LandManager, the market-leading system for supporting the cooperation between farmers and drinking water suppliers. As managing director of ZEBRIS he is responsible for the area of drinking water protection, landscape management and the information system LandManager.